Request >
Restate every line further down that contains the word "MP2020-corrected".
File >
~~~
Record 1
Here is a geometry-optimized VAg2P2O8 structure from the Materials Project database. Energies are from PBE with a Hubbard U.

Values from the calculation:
calculated total energy = -6.586 eV per atom
MP2020-corrected energy = -371.233 eV/cell
space-group type = P2_1/c
energy relative to the elements = -2127 meV per atom

Cell lengths 7.7956, 14.0955, 6.3604 Å; angles 90.00, 99.65, 90.00 degrees
Sites, in units of the cell vectors:
V 0.2244 0.0751 0.2656
V 0.2244 0.4249 0.7656
V 0.7756 0.5751 0.2344
V 0.7756 0.9249 0.7344
Ag 0.0452 0.7136 0.6511
Ag 0.0452 0.7864 0.1511
Ag 0.4692 0.6470 0.5755
Ag 0.4692 0.8530 0.0755
Ag 0.5308 0.1470 0.9245
Ag 0.5308 0.3530 0.4245
Ag 0.9548 0.2136 0.8489
Ag 0.9548 0.2864 0.3489
P 0.1732 0.0206 0.7489
P 0.1732 0.4794 0.2489
P 0.3612 0.6252 0.0362
P 0.3612 0.8748 0.5362
P 0.6388 0.1252 0.4638
P 0.6388 0.3748 0.9638
P 0.8268 0.5206 0.7511
P 0.8268 0.9794 0.2511
O 0.0208 0.5184 0.7406
O 0.0208 0.9816 0.2406
O 0.1044 0.1715 0.1802
O 0.1044 0.3285 0.6802
O 0.2217 0.0892 0.5815
O 0.2217 0.4108 0.0815
O 0.2261 0.5853 0.1862
O 0.2261 0.9147 0.6862
O 0.2836 0.0425 0.9684
O 0.2836 0.4575 0.4684
O 0.2846 0.7215 0.9579
O 0.2846 0.7785 0.4579
O 0.3646 0.5541 0.8544
O 0.3646 0.9459 0.3544
O 0.4633 0.1373 0.3145
O 0.4633 0.3627 0.8145
O 0.5367 0.6373 0.1855
O 0.5367 0.8627 0.6855
O 0.6354 0.0541 0.6456
O 0.6354 0.4459 0.1456
O 0.7154 0.2215 0.5421
O 0.7154 0.2785 0.0421
O 0.7164 0.5425 0.5316
O 0.7164 0.9575 0.0316
O 0.7739 0.0853 0.3138
O 0.7739 0.4147 0.8138
O 0.7783 0.5892 0.9185
O 0.7783 0.9108 0.4185
O 0.8956 0.6715 0.3198
O 0.8956 0.8285 0.8198
O 0.9792 0.0184 0.7594
O 0.9792 0.4816 0.2594



Record 2
Here is a geometry-optimized V2AgP2O10 structure from the Materials Project database. Energies are from PBE with a Hubbard U.

Values from the calculation:
calculated total energy = -7.074 eV per atom
MP2020-corrected energy = -465.507 eV/cell
space-group type = P2_1/c
energy relative to the elements = -2338 meV per atom

Cell lengths 5.3082, 8.2199, 17.2643 Å; angles 90.00, 91.70, 90.00 degrees
Sites, in units of the cell vectors:
V 0.0342 0.0322 0.1469
V 0.0342 0.4678 0.6469
V 0.3551 0.6325 0.9293
V 0.3551 0.8675 0.4293
V 0.6449 0.1325 0.5707
V 0.6449 0.3675 0.0707
V 0.9658 0.5322 0.3531
V 0.9658 0.9678 0.8531
Ag 0.4338 0.2124 0.3128
Ag 0.4338 0.2876 0.8128
Ag 0.5662 0.7124 0.1872
Ag 0.5662 0.7876 0.6872
P 0.1328 0.2351 0.9840
P 0.1328 0.2649 0.4840
P 0.1433 0.0778 0.6828
P 0.1433 0.4222 0.1828
P 0.8567 0.5778 0.8172
P 0.8567 0.9222 0.3172
P 0.8672 0.7351 0.5160
P 0.8672 0.7649 0.0160
O 0.1006 0.5204 0.8585
O 0.1006 0.9796 0.3585
O 0.1169 0.6730 0.0138
O 0.1169 0.8270 0.5138
O 0.1444 0.2346 0.1970
O 0.1444 0.2654 0.6970
O 0.1548 0.1375 0.9068
O 0.1548 0.3625 0.4068
O 0.1575 0.1104 0.0518
O 0.1575 0.3896 0.5518
O 0.1726 0.5029 0.2645
O 0.1726 0.9971 0.7645
O 0.2749 0.5784 0.6757
O 0.2749 0.9216 0.1757
O 0.3162 0.6867 0.3891
O 0.3162 0.8133 0.8891
O 0.3628 0.1469 0.4874
O 0.3628 0.3531 0.9874
O 0.3830 0.0302 0.6398
O 0.3830 0.4698 0.1398
O 0.6170 0.5302 0.8602
O 0.6170 0.9698 0.3602
O 0.6372 0.6469 0.0126
O 0.6372 0.8531 0.5126
O 0.6838 0.1867 0.1109
O 0.6838 0.3133 0.6109
O 0.7251 0.0784 0.8243
O 0.7251 0.4216 0.3243
O 0.8274 0.0029 0.2355
O 0.8274 0.4971 0.7355
O 0.8425 0.6104 0.4482
O 0.8425 0.8896 0.9482
O 0.8452 0.6375 0.5932
O 0.8452 0.8625 0.0932
O 0.8556 0.7346 0.3030
O 0.8556 0.7654 0.8030
O 0.8831 0.1730 0.4862
O 0.8831 0.3270 0.9862
O 0.8994 0.0204 0.6415
O 0.8994 0.4796 0.1415



Record 3
Here is a geometry-optimized VAgS2O8 structure from the Materials Project database. Energies are from PBE with a Hubbard U.

Values from the calculation:
calculated total energy = -6.226 eV per atom
MP2020-corrected energy = -81.910 eV/cell
space-group type = C2/m
energy relative to the elements = -1845 meV per atom

Cell lengths 4.8713, 4.8713, 7.4379 Å; angles 91.23, 91.23, 65.22 degrees
Sites, in units of the cell vectors:
V 0.0000 0.0000 0.0000
Ag 0.0000 0.0000 0.5000
S 0.3623 0.3623 0.2151
~~~
Result >
MP2020-corrected energy = -371.233 eV/cell
MP2020-corrected energy = -465.507 eV/cell
MP2020-corrected energy = -81.910 eV/cell